**File**
/*
Starting from a DFT-relaxed cell (GGA+U, Alexandria), the powder X-ray diffraction pattern of PuUMnO6 was calculated for Cu Ka.

Structural model:
Cell lengths 5.4864, 5.4864, 9.7534 Å; angles 90.00, 90.00, 120.00 degrees
Fractional coordinates of all 18 atoms:
Pu 0.0000 0.0000 0.0000
Pu 0.0000 0.0000 0.5000
U 0.3333 0.6667 0.2500
U 0.6667 0.3333 0.7500
Mn 0.3333 0.6667 0.7500
Mn 0.6667 0.3333 0.2500
O 0.0128 0.3434 0.1334
O 0.0128 0.6693 0.3666
O 0.3307 0.3434 0.3666
O 0.3307 0.9872 0.1334
O 0.3434 0.0128 0.6334
O 0.3434 0.3307 0.8666
O 0.6566 0.6693 0.1334
O 0.6566 0.9872 0.3666
O 0.6693 0.0128 0.8666
O 0.6693 0.6566 0.6334
O 0.9872 0.3307 0.6334
O 0.9872 0.6566 0.8666

Top 12 peaks for 5° ≤ 2θ ≤ 70°, low angle first:
2theta, d/Å, I/Imax, hkl
18.68, 4.751, 62, 1 0 0
20.80, 4.271, 271, 1 0 1
26.19, 3.403, 1000, 1 0 2
32.64, 2.743, 442, 1 1 0
33.40, 2.683, 81, 1 0 3
36.86, 2.438, 87, 0 0 4
42.32, 2.136, 284, 2 0 2
50.05, 1.822, 390, 1 1 4
54.45, 1.685, 276, 2 1 2
*/

**Job**
Please set down the whole of the contents further up with every line break kept.

**Solution**
Starting from a DFT-relaxed cell (GGA+U, Alexandria), the powder X-ray diffraction pattern of PuUMnO6 was calculated for Cu Ka.

Structural model:
Cell lengths 5.4864, 5.4864, 9.7534 Å; angles 90.00, 90.00, 120.00 degrees
Fractional coordinates of all 18 atoms:
Pu 0.0000 0.0000 0.0000
Pu 0.0000 0.0000 0.5000
U 0.3333 0.6667 0.2500
U 0.6667 0.3333 0.7500
Mn 0.3333 0.6667 0.7500
Mn 0.6667 0.3333 0.2500
O 0.0128 0.3434 0.1334
O 0.0128 0.6693 0.3666
O 0.3307 0.3434 0.3666
O 0.3307 0.9872 0.1334
O 0.3434 0.0128 0.6334
O 0.3434 0.3307 0.8666
O 0.6566 0.6693 0.1334
O 0.6566 0.9872 0.3666
O 0.6693 0.0128 0.8666
O 0.6693 0.6566 0.6334
O 0.9872 0.3307 0.6334
O 0.9872 0.6566 0.8666

Top 12 peaks for 5° ≤ 2θ ≤ 70°, low angle first:
2theta, d/Å, I/Imax, hkl
18.68, 4.751, 62, 1 0 0
20.80, 4.271, 271, 1 0 1
26.19, 3.403, 1000, 1 0 2
32.64, 2.743, 442, 1 1 0
33.40, 2.683, 81, 1 0 3
36.86, 2.438, 87, 0 0 4
42.32, 2.136, 284, 2 0 2
50.05, 1.822, 390, 1 1 4
54.45, 1.685, 276, 2 1 2